Our Soulwork Treatments

  • Psychology

    Embrace the warmth of understanding as you come on a compassionate journey of self-discovery. Our warm and nurturing approach will guide you through the complexities of the human mind, helping you unravel the mysteries of your thoughts, feelings, and behaviors.

    With empathy, kindness, and a non-judgmental space, we'll explore the depths of your psyche, uncovering hidden strengths and untapped potential. Our gentle guidance will empower you!

  • Counselling

    A Safe Haven for Your Heart and Mind

    Counselling is a courageous step towards healing, growth, and transformation. Our warm and empathetic counselors will walk alongside you, offering a safe and non-judgmental space to explore your thoughts, feelings, and experiences.

    With compassion, understanding, and expertise, we'll help you navigate life's challenges.

  • Telehealth

Materials data from another source follow >
=====
A plane-wave DFT calculation with GGA+U was carried out for Zn2AgWO6 after structural relaxation.

## Properties
Spin magnetization = 1.00 μB per formula unit
ΔE to the lowest computed polymorph = 0 meV/atom
Energy relative to the elements = -1.609 eV per atom

a = 5.8855 Å, b = 6.0186 Å, c = 7.4958 Å
α = 87.85°, β = 128.68°, γ = 129.35°
Fractional coordinates of all 10 atoms:
Ag 0.9943 0.9798 0.4982
O 0.2372 0.0220 0.3521
O 0.4375 0.7470 0.8371
Zn 0.9218 0.4015 0.7522
Zn 0.0673 0.5560 0.2436
W 0.9947 0.9795 0.9984
O 0.2541 0.4422 0.1420
O 0.5550 0.2163 0.1619
O 0.7361 0.5189 0.8538
O 0.7517 0.9392 0.6443


A plane-wave DFT calculation with GGA+U was carried out for FeTeO3F after structural relaxation.

## Properties
Spin magnetization = 5.00 μB per formula unit
Energy relative to the elements = -1.844 eV per atom

a = 5.1815 Å, b = 5.1489 Å, c = 12.9096 Å
α = 74.23°, β = 90.00°, γ = 90.00°
Fractional coordinates of all 24 atoms:
O 0.6053 0.4510 0.3372
Fe 0.7576 0.1056 0.9293
Te 0.3044 0.6764 0.3300
O 0.5638 0.1320 0.5690
Fe 0.2424 0.8944 0.0707
O 0.1053 0.5490 0.1628
F 0.9353 0.7592 0.5147
O 0.0638 0.8680 0.9310
Fe 0.2576 0.8944 0.5707
F 0.0647 0.2408 0.4853
F 0.4353 0.2408 0.9853
O 0.5836 0.0665 0.7981
F 0.5647 0.7592 0.0147
O 0.4164 0.9335 0.2019
Te 0.6956 0.3236 0.6700
Fe 0.7424 0.1056 0.4293
O 0.9164 0.0665 0.2981
Te 0.8044 0.3236 0.1700
O 0.3947 0.5490 0.6628
O 0.0836 0.9335 0.7019
O 0.9362 0.1320 0.0690
O 0.8947 0.4510 0.8372
Te 0.1956 0.6764 0.8300
O 0.4362 0.8680 0.4310


A plane-wave DFT calculation with GGA+U was carried out for LiCrPH2O5 after structural relaxation.

## Properties
Spin magnetization = 4.00 μB per formula unit
ΔE to the lowest computed polymorph = 17 meV/atom
Energy relative to the elements = -2.115 eV per atom

a = 7.2933 Å, b = 6.0573 Å, c = 9.8669 Å
α = 85.80°, β = 90.00°, γ = 90.00°
Fractional coordinates of all 40 atoms:
O 0.9551 0.3082 0.9079
H 0.3959 0.1899 0.5580
H 0.8959 0.3101 0.4420
H 0.7670 0.6444 0.4156
P 0.4716 0.9960 0.7982
O 0.1031 0.3024 0.1976
O 0.1442 0.8447 0.5401
O 0.6031 0.1976 0.8024
H 0.7330 0.1444 0.4156
H 0.2330 0.3556 0.5844
O 0.8969 0.6976 0.8024
Li 0.9403 0.0788 0.6494
H 0.1041 0.6899 0.5580
P 0.9716 0.5040 0.2018
O 0.5449 0.8082 0.9079
O 0.7258 0.9535 0.1534
H 0.2670 0.8556 0.5844
O 0.0292 0.4044 0.6583
O 0.3558 0.3447 0.5401
O 0.4708 0.9044 0.6583
O 0.9708 0.5956 0.3417
O 0.0449 0.6918 0.0921
Cr 0.1944 0.2084 0.0127
H 0.6041 0.8101 0.4420
O 0.3969 0.8024 0.1976
O 0.8558 0.1553 0.4599
O 0.5292 0.0956 0.3417
Li 0.5597 0.5788 0.6494
Li 0.0597 0.9212 0.3506
O 0.2742 0.0465 0.8466
Cr 0.6944 0.2916 0.9873
O 0.7742 0.4535 0.1534
Li 0.4403 0.4212 0.3506
P 0.5284 0.0040 0.2018
Cr 0.8056 0.7916 0.9873
Cr 0.3056 0.7084 0.0127
O 0.2258 0.5465 0.8466
O 0.6442 0.6553 0.4599
O 0.4551 0.1918 0.0921
P 0.0284 0.4960 0.7982


A plane-wave DFT calculation with GGA+U was carried out for Ca2V2O5 after structural relaxation.

## Properties
Spin magnetization = 4.00 μB per formula unit
=====

    Telehealth is like a soothing cup of tea for your health, warming you up to the idea of convenient, accessible care. With just a few clicks, you can connect with compassionate healthcare professionals, share your concerns, and receive personalized guidance - all from the snugness of your own home.

    * For both Psychology & Counselling

Remember, Soulwork is an ongoing process, a gentle unfolding of your inner beauty, and a celebration of your deepest essence

24/7 Support Services

While our team may not be available around the clock, your well-being and safety are our top priorities. Please don't hesitate to reach out to our 24/7 support services whenever you need assistance. We've got you covered, even when we're not physically present.

Emergency Services 000

RBWH 3636 8111

Prince Charles Hospital 3139 4000

QLD Health Advice (24/7) 13 43 25 84

CHQ Acute Response Team Crisis 24/7 Inner Brisbane 3068 2555

Acute Mental Health Support, Metro North 1300 64 2255

LifeLine (24/7) 13 11 14

Materials data that have nothing to do with the text =
1.
Entry from the Materials Project database: a relaxed Mn3Fe3Sb2O16 crystal (GGA+U).

```
Mn3Fe3Sb2O16
1.0
2.954 5.165 0.000
-2.954 5.165 0.000
0.000 0.219 9.287
Mn Fe Sb O
3 3 2 16
direct
0.830 0.830 0.213
0.662 0.167 0.712
0.167 0.662 0.712
0.829 0.332 0.209
0.332 0.829 0.209
0.166 0.166 0.709
0.667 0.667 0.490
0.332 0.332 0.991
0.831 0.333 0.601
0.521 0.521 0.344
0.673 0.673 0.107
0.993 0.993 0.307
0.993 0.993 0.808
0.333 0.831 0.601
0.963 0.529 0.341
0.529 0.963 0.341
0.165 0.165 0.098
0.834 0.834 0.604
0.490 0.041 0.840
0.041 0.490 0.840
0.340 0.340 0.608
0.663 0.164 0.100
0.480 0.480 0.833
0.164 0.663 0.100
```

**Uncorrected energy**: -6.5804 eV/atom
**Formation energy**: -1.682 eV/atom
**Density**: 4874 kg/m³
**Space-group type**: Cm, No. 8

2.
Entry from the Materials Project database: a relaxed Mn2Fe3Si3O12 crystal (GGA+U).

```
Mn2Fe3Si3O12
1.0
-6.572 -6.903 -3.909
7.353 1.818 -6.982
3.928 -3.817 8.725
Mn Fe Si O
8 12 12 48
direct
0.000 0.000 0.500
0.500 0.500 0.500
0.000 0.000 0.000
0.500 0.000 0.000
0.500 0.000 0.500
0.000 0.500 0.500
0.500 0.500 0.000
0.000 0.500 0.000
0.372 0.122 0.250
0.372 0.750 0.122
0.628 0.250 0.878
0.128 0.378 0.750
0.250 0.875 0.625
0.872 0.750 0.622
0.872 0.622 0.250
0.628 0.878 0.750
0.750 0.125 0.375
0.750 0.625 0.875
0.250 0.375 0.125
0.128 0.250 0.378
0.126 0.876 0.250
0.874 0.124 0.750
0.626 0.750 0.376
0.750 0.375 0.625
0.250 0.625 0.375
0.374 0.624 0.750
0.750 0.875 0.125
0.374 0.250 0.624
0.874 0.250 0.124
0.250 0.125 0.875
0.626 0.376 0.250
0.126 0.750 0.876
0.622 0.407 0.103
0.804 0.518 0.397
0.415 0.105 0.619
0.585 0.895 0.381
0.378 0.285 0.482
0.378 0.593 0.897
0.196 0.215 0.593
0.895 0.022 0.307
0.284 0.478 0.372
0.986 0.689 0.105
0.486 0.381 0.296
0.216 0.128 0.022
0.014 0.204 0.119
0.085 0.881 0.395
0.915 0.296 0.311
0.784 0.412 0.807
0.878 0.397 0.093
0.284 0.307 0.912
0.622 0.715 0.518
0.304 0.897 0.018
0.105 0.628 0.412
0.304 0.907 0.285
0.122 0.018 0.215
0.784 0.872 0.978
0.605 0.193 0.478
0.415 0.811 0.796
0.514 0.619 0.704
0.514 0.395 0.811
0.696 0.093 0.715
0.085 0.704 0.689
0.395 0.807 0.522
0.878 0.982 0.785
0.696 0.103 0.982
0.804 0.785 0.407
0.716 0.522 0.628
0.196 0.482 0.603
0.486 0.605 0.189
0.895 0.372 0.588
0.585 0.189 0.204
0.216 0.588 0.193
0.986 0.796 0.881
0.915 0.119 0.605
0.716 0.693 0.088
0.122 0.603 0.907
0.605 0.912 0.128
0.014 0.311 0.895
0.395 0.088 0.872
0.105 0.978 0.693
```

**Uncorrected energy**: -7.4273 eV/atom
**Formation energy**: -2.375 eV/atom
**Density**: 4374 kg/m³
**ΔE to the lowest computed polymorph**: 0 meV/atom
**Space-group type**: I4_1/acd, No. 142

3.
Entry from the Materials Project database: a relaxed Mn13FeSi2O22 crystal (GGA+U).

```
Mn13FeSi2O22
1.0
3.384 -5.862 0.000
3.384 5.862 0.000
0.000 0.000 11.254
Mn Fe Si O
13 1 2 22
direct
0.000 0.000 0.000
0.500 0.000 0.500
0.000 0.500 0.500
0.500 0.500 0.500
0.833 0.167 0.235
0.167 0.833 0.765
0.833 0.666 0.235
0.167 0.334 0.765
0.334 0.167 0.235
0.666 0.833 0.765
0.500 0.000 0.000

Beyond Blue (24/7) 1300 22 46 36

Men’s Help Line (24/7) 1300 78 99 78

Suicide Call Back Service (24/7) 1300 659 467

Brisbane Rape/Incest Crisis Centre 3391 0004

Drug & Alcohol Line (24/7) 1800 177 833

Women’s Centre (24/7) 1800 657 501

Domestic Violence (24/7) 1800 811 811

Kid’s Help Line (24/7) 1800 55 1800

Salvo Care Line (24/7) 1300 36 36 22

Parent Line Service (24/7) 1300 30 1300

Community Services Info (24/7) 3837 5986

Sane Help Line (Bus Hrs) 1800 18 7263

If you're needing assistance immediately, please reach out to a dedicated 24/7 support service,

such as Lifeline (131114) or visit your local emergency room. While we're not a crisis helpline,

We care about your well-being and want to ensure you receive the immediate support you need.